MovieChat Forums > Slipstream (2005) Discussion > Retroactive already did it:

Retroactive already did it:

Don’t take my Word for granted but I saw another movie before called retroactive with the same story with only 2 differences with this movie (according to the trailer) in retroactive the story is told by the point of view of the female cop and the device is a massive size structure and in this movie apparently is the point of view of the genius guy which counts and the device is small and mobile. Everything else is almost the same the confrontation of the bad guy, the genius and the policewoman for the control of the machine in a violent situation, things turn worse and everything else including the attempts to widen the time traveling gap. Amazing but the remakes are coming quite much faster these days.


What's even funnier about your observation is that the writers listed under Slipstream did a movie called Retroactive. Which means they've indulged in the grand Hollywood tradition of ripping off themselves.


i watched the trailer too and i went to the website and it seems like an update maybe even an upgrade.. but don't think it classifies as a remake..

but maybe this team did it better.. i read they just won a bunch of awards for the film at a sci fi festival in the UK.. i guess that's the point of a remake.. make it better or at least make it different..

Data records from another source follow:
/*
1.
ORCA calculation (ωB97M-V/def2-TZVPD) on an isolated molecule of C2H3F2P.

XYZ file:
```
8
Properties=species:S:1:pos:R:3:nbo_charge:R:1
P -1.33074 0.13409 -0.63985 1.45
F -1.75626 -1.28158 0.27234 -0.59
F -2.14807 1.04722 0.45819 -0.58
C 1.27393 -0.36645 -0.21302 -0.30
C 0.27599 0.42244 0.08059 -0.61
H 2.20605 0.00971 0.08414 0.21
H 0.36568 1.14761 0.84048 0.23
H 1.11343 -1.11305 -0.88286 0.19
```

Calculated values
- Multiplicity: 1
- Structure (SMILES): C=CP(F)F
- Orbital gap: 10.6 eV


2.
ORCA calculation (ωB97M-V/def2-TZVPD) on an isolated molecule of C2H3F2P.

XYZ file:
```
8
Properties=species:S:1:pos:R:3:nbo_charge:R:1
P 2.72193 0.43595 -0.36762 1.42
F 2.63453 -1.16170 -0.57351 -0.58
F 3.19467 0.31551 1.20378 -0.58
C 0.65717 0.46913 0.07938 -0.47
C -0.17712 -0.32887 -0.43803 -0.41
H 0.27961 1.27876 0.73763 0.21
H -1.21998 -0.15392 0.04550 0.21
H 0.04858 -1.09494 -1.15606 0.22
```

Calculated values
- Multiplicity: 1
- Structure (SMILES): C=CP(F)F
- Orbital gap: 10.5 eV


It comes down to 1, which is 0.325 eV more stable than the next structure.


1.
ORCA calculation (ωB97M-V/def2-TZVPD) on a cluster of 2 separate species, C5H15N2O2 in total.

XYZ file:
```
24
Properties=species:S:1:pos:R:3:nbo_charge:R:1
O 2.25427 -2.43549 -0.74975 -0.97
O 1.75484 0.75068 -1.86578 -0.76
N 2.06978 0.00668 0.61800 -0.70
N -3.79634 1.18352 0.37947 -0.79
C -1.74930 -0.04919 0.52947 -0.37
C -0.36027 -0.23409 1.07793 -0.44
C 0.68578 0.51780 0.25176 -0.05
C 0.54437 0.30526 -1.24750 -0.09
C -2.55764 0.94465 0.90396 0.06
H -0.10270 -1.29744 1.12069 0.22
H 2.50212 -2.37134 -1.66704 0.50
H 1.62319 1.49060 -2.46587 0.50
H 2.17351 -0.96537 0.26628 0.47
H 0.43270 -0.75415 -1.47481 0.19
H 2.78545 0.56431 0.15423 0.45
H 2.45736 -3.33748 -0.48624 0.50
H -2.07145 -0.79976 -0.18388 0.21
H -0.32155 0.83806 -1.62306 0.22
H 2.21494 -0.01357 1.62554 0.43
H -4.43778 1.82696 0.79011 0.40
H -0.31030 0.08073 2.12586 0.22
H -4.20733 0.49843 -0.20402 0.39
H -2.27952 1.66593 1.65506 0.20
H 0.69586 1.58429 0.46959 0.22
```

Calculated values
- Multiplicity: 1
- Net charge: +1
- Orbital gap: 8.4 eV


2.
ORCA calculation (ωB97M-V/def2-TZVPD) on a cluster of 2 separate species, C5H15N2O2 in total.

XYZ file:
```
24
Properties=species:S:1:pos:R:3:nbo_charge:R:1
O 1.79964 -1.31149 -2.82792 -0.49
O 2.38261 -1.37273 1.36583 -0.96
N -2.78731 0.23082 0.37593 -0.69
N -0.21689 -0.32234 -0.15223 -0.66
C -0.62751 -0.26983 1.26135 -0.27
C 1.98273 -0.30224 -2.19942 0.43
C -1.80197 0.64663 1.40643 -0.25
C 0.90133 0.74841 -2.04147 -0.52
C 0.49134 0.88320 -0.58638 -0.22
H 2.95599 -0.13961 -1.70365 0.12
H -3.36817 -0.50630 0.77844 0.44
H 0.40293 -1.11650 -0.20537 0.40
H -0.77686 -1.29500 1.60915 0.22
H 2.12826 -1.95299 2.09034 0.48
H 1.33201 1.67000 -2.40957 0.24
H -2.24132 -0.18914 -0.39781 0.47
H -0.12563 1.75458 -0.38733 0.19
H -1.54340 1.69236 1.35246 0.24
H -3.44890 0.93912 0.05846 0.45
H 0.21238 0.05318 1.88216 0.23
H 0.05810 0.41946 -2.63803 0.23
H -2.25174 0.55949 2.38992 0.24
*/

i guess we like to kick the s--t out of hollywood but the truth is about half the remakes i've seen recently are definitely better in some ways than the originals.. certainly different and often in a good way.. And who's to say those films were so "original" anyway? you don't have to be a student of film history to be able to identify a pretty obvious list of sources for a lot of those "classics".. not all of 'em of course but a fair number..

take issue with "the just two differences" argument though.. i mean, you could write Hamlet from Claudius' point of view, or Gertrude's, and it's the same story but a completely different take. and swapping a huge time tunnel for a pocket-size ten minute timewarper should set up the action in a new way.. i guess we'll see..

• Here the text breaks off for data records:
~~~
(1)
ORCA calculation (ωB97M-V/def2-TZVPD) on a molecular structure, C18H18BaF14N2O18PS4.

XYZ file:
```
76
Properties=species:S:1:pos:R:3:forces:R:3
Ba -0.893956 0.366033 -0.530195 -0.02 1.52 1.43
P -1.687218 2.553465 2.579396 -0.67 2.59 0.32
F -2.970187 2.809702 3.489236 -0.35 -1.29 0.36
F -1.549631 0.993751 3.011720 -0.32 0.41 -0.02
F -2.616890 2.094247 1.299275 -0.38 -0.27 0.34
F -0.456979 2.398510 1.541242 0.87 -0.07 0.18
F -1.874541 4.134355 2.164977 0.65 -0.45 -0.83
F -0.712105 3.047662 3.791423 -0.08 -0.96 -0.76
C -1.484344 -4.112965 -1.419201 0.07 -0.39 1.05
F -1.645886 -5.342244 -0.944108 0.43 0.13 0.29
F -0.666764 -4.177701 -2.450390 -0.26 0.24 -0.33
F -2.702448 -3.679168 -1.728964 0.60 0.41 -0.53
S -0.645189 -2.930661 -0.112453 -0.66 1.74 -0.53
O -0.102445 -3.677307 0.969819 -0.44 -0.50 -0.04
O 0.311250 -2.076853 -0.814370 -1.11 -0.65 0.07
N -1.956654 -1.890721 0.278229 2.63 -1.63 -2.15
S -2.787133 -2.595986 1.373102 -2.05 -1.00 3.23
O -3.172308 -3.965771 1.090675 0.49 0.72 0.00
O -2.223809 -2.284322 2.665679 -0.76 -0.18 -0.28
C -4.464539 -1.717117 1.222656 1.30 0.64 -0.65
F -4.308047 -0.392093 1.038356 0.11 -0.10 0.37
F -5.036549 -2.165337 0.105057 -0.50 -0.35 0.13
F -5.231841 -1.918454 2.278103 0.07 -0.21 -0.20
N 0.424851 0.316640 -2.800361 2.24 3.06 -3.18
S -0.038343 -0.371404 -4.120313 -3.06 -7.43 -2.86
O 0.964227 -1.096071 -4.879566 -0.38 1.57 1.00
O -1.157148 0.104939 -4.883988 0.70 1.00 0.80
F -0.751264 -1.613893 -3.327198 -0.02 0.56 0.10
S 1.222759 1.574330 -3.732707 2.23 3.37 1.72
O 0.384086 2.518586 -4.416680 -0.07 -1.18 0.77
O 2.487043 1.281428 -4.360267 -1.38 -0.59 1.04
F 1.632149 2.317282 -2.367814 -0.08 0.01 -0.62
C -0.899969 4.186729 -1.126859 -0.31 0.97 1.03
O -1.686442 3.033938 -1.273104 -0.42 -1.46 -1.10
C -2.868764 3.254126 -2.064770 0.18 0.19 0.43
C -3.777576 2.002483 -2.288360 -0.02 -0.21 1.60
O -3.064578 0.791173 -2.064469 0.57 -1.11 -0.58
C -3.777642 -0.416136 -2.432353 -0.34 0.56 -0.97
H 0.029262 3.940721 -0.614635 0.15 -0.34 -0.51
H -1.373689 4.860539 -0.400593 -0.26 0.08 -0.18
H -0.763588 4.736630 -2.060487 0.26 -0.29 -0.14
H -2.615019 3.666004 -3.045003 0.39 -0.13 -0.03
H -3.379805 4.054127 -1.521335 -0.66 -0.19 -0.19
H -4.250013 2.070101 -3.270484 0.26 -0.18 -0.15
H -4.560234 1.866576 -1.533537 -0.32 1.06 -0.10
H -4.844434 -0.380127 -2.197638 0.06 0.33 0.43
H -3.370435 -1.318911 -1.984307 0.39 0.38 0.34
H -3.727484 -0.542562 -3.516549 0.20 0.06 -0.05
C 2.279840 -1.914369 2.385441 -0.73 0.38 -0.69
C 2.884499 -2.748834 3.211787 1.40 -1.98 0.40
C 2.661108 -2.823633 4.690957 -1.57 1.68 0.03
O 3.272273 -3.575295 5.418179 0.34 -0.18 -0.28
C 1.579835 -1.925334 5.110711 0.63 -0.50 0.39
C 0.880995 -1.161279 4.257519 -2.26 0.70 0.87
C 1.143161 -1.053700 2.802673 2.28 -1.24 -1.52
O 0.565550 -0.408250 1.948147 -0.65 -0.05 1.16
O -0.213263 -0.545566 4.727322 0.64 -0.10 -0.10
O 3.712811 -3.729749 2.777459 0.09 0.67 -0.57
H 2.460561 -2.008637 1.321846 0.00 0.14 -0.04
H 1.255256 -1.952451 6.141871 0.04 -0.01 0.02
~~~

anyhow. just my ten cents.


Retroactive was a fun thrill ride, almost non-stop once it got going, so it arguably works better as an action movie than as a sci-fi flick, as the premise is mainly used for tons of shootouts, car chases, and fight scenes. But it does twist things around a bit and consequently makes the action scenes a little more clever than usual.


Having seen both films I thought Slipstream was a far better film than the 'original'. The director David van Eyssen's visual style was quite beautiful in parts and the pace and humour in the film made for a really entertaining experience. Maybe it's just that time has passed and standards have risen but even the soundtrack to Slipstream sounded wonderful in comparision to the cheap and cheasy music in Retroactive. We saw Slipstream at the London Sci-Fi Festival and it went down really well with the audience.



I'm quite interested to see how Slipstream will turn out. Retroactive also won a number of fantasy/sci-fi awards, so I'm hoping this will be just as fun (it's got a bigger name cast, too).


there have been episodes of The Twilight Zone, Star Trek, and The Outer Limits that have had similar plots.

